Databases in MongoDB

Databases in MongoDB

In MongoDB, a database is a container for collections. A database organizes collections, much like a folder organizes files. Each MongoDB instance can support multiple databases, and each database contains collections, which in turn store documents. This structure provides a way to logically separate data for different applications or use cases.

Key Characteristics of Databases in MongoDB

1. Multiple Databases per MongoDB Instance

  • A single MongoDB server instance can host multiple databases, each logically isolated from the others.
  • For example, you could have one database for a blog platform and another database for an e-commerce website within the same MongoDB instance.

********
Computed, not measured: an optimized crystal structure of Li3V2P4H2O16 at the GGA+U level of DFT. Values from VASP.

Cell and atoms, written as Quantum ESPRESSO input:
```
&SYSTEM
  ibrav = 0, nat = 81, ntyp = 5
/
ATOMIC_SPECIES
Li 6.94 Li.upf
V 50.94 V.upf
P 30.97 P.upf
H 1.01 H.upf
O 16.00 O.upf
CELL_PARAMETERS angstrom
7.9036 0.0000 0.0000
0.0215 8.0701 0.0000
2.3804 0.0490 13.5421
ATOMIC_POSITIONS crystal
Li 0.0000 0.0000 0.0000
Li 0.0608 0.2491 0.6288
Li 0.1641 0.7491 0.3330
Li 0.3383 0.9892 0.6620
Li 0.5007 0.7684 0.9964
Li 0.5655 0.4824 0.6346
Li 0.6664 0.9804 0.3315
Li 0.7297 0.2562 0.9661
Li 0.8942 0.4990 0.2987
V 0.0383 0.1275 0.3150
V 0.1833 0.6233 0.6477
V 0.3610 0.1347 0.9810
V 0.5285 0.6175 0.3145
V 0.7017 0.1128 0.6513
V 0.8745 0.6251 0.9822
P 0.0912 0.9676 0.5245
P 0.1356 0.4686 0.4378
P 0.2462 0.7788 0.8589
P 0.3107 0.2781 0.7698
P 0.4111 0.9761 0.1957
P 0.4864 0.4794 0.1003
P 0.5765 0.7672 0.5301
P 0.6516 0.2686 0.4354
P 0.7549 0.9734 0.8624
P 0.8103 0.4709 0.7708
P 0.9236 0.7798 0.1933
P 0.9710 0.2832 0.1067
H 0.0470 0.1340 0.8098
H 0.2293 0.6220 0.1370
H 0.3929 0.1268 0.4724
H 0.5119 0.6323 0.8205
H 0.6720 0.1222 0.1571
H 0.8341 0.6244 0.4928
O 0.0824 0.6827 0.2113
O 0.0834 0.9505 0.4119
O 0.0898 0.6704 0.9065
O 0.0948 0.7905 0.5680
O 0.1264 0.1813 0.0556
O 0.1279 0.2918 0.3955
O 0.1441 0.4495 0.5506
O 0.1461 0.1794 0.7516
O 0.2366 0.9433 0.9144
O 0.2377 0.7976 0.7474
O 0.2493 0.0641 0.5443
O 0.2538 0.0865 0.2409
O 0.2949 0.5648 0.3873
O 0.3093 0.4459 0.7155
O 0.3159 0.2981 0.8793
O 0.3307 0.5887 0.0815
O 0.4005 0.8132 0.2534
O 0.4064 0.9574 0.0849
O 0.4173 0.6623 0.5789
O 0.4168 0.6936 0.8743
O 0.4619 0.1715 0.7176
O 0.4903 0.3154 0.0455
O 0.4933 0.4581 0.2097
O 0.4941 0.1637 0.4171
O 0.5741 0.9321 0.5840
O 0.5747 0.7896 0.4190
O 0.5802 0.0628 0.2124
O 0.5973 0.0747 0.9139
O 0.6435 0.5553 0.7571
O 0.6440 0.5868 0.0494
O 0.6555 0.2883 0.5465
O 0.6585 0.4336 0.3806
O 0.7313 0.6575 0.5486
O 0.7444 0.9530 0.7525
O 0.7524 0.8011 0.9141
O 0.7636 0.6820 0.2433
O 0.8072 0.1579 0.3868
O 0.8098 0.1888 0.0894
O 0.8275 0.3039 0.7161
O 0.8274 0.4518 0.8819
O 0.9148 0.0708 0.8803
O 0.9165 0.8006 0.0805
********

2. Database Structure

MongoDB’s hierarchy looks like this:

[Materials data, as found in the file]
~~~
# 1
Density functional theory data (GGA-PBE) for Pr6Sm12Dy after structural relaxation.

It has space group R-3m (No. 166, hexagonal axes), with a = 16.6657 Å, b = 16.6657 Å, c = 8.4245 Å, α = 90.00°, β = 90.00° and γ = 120.00°. The asymmetric unit holds Pr at (0.0862, 0.1725, 0.1455), Sm at (0.0000, 0.3788, 0.0000), Sm at (0.0943, 0.5472, 0.3101) and Dy at (0.0000, 0.0000, 0.5000).

As for the density of states at the Fermi level: 97.7 states/eV/cell. The volume comes out at 2026.4 Å³/cell. The calculation puts the offset from the most stable computed form at 0.170 eV/atom.

# 2
Density functional theory data (GGA-PBE) for BPtI2O after structural relaxation.

It has space group P4/mmm (No. 123), with a = 5.7637 Å, b = 5.7637 Å, c = 2.8362 Å, α = 90.00°, β = 90.00° and γ = 90.00°. The asymmetric unit holds B at (0.0000, 0.0000, 0.0000), Pt at (0.5000, 0.5000, 0.5000), I at (0.0000, 0.5000, 0.0000) and O at (0.0000, 0.0000, 0.5000).

As for the density of states at the Fermi level: 2.5 states/eV/cell. The volume comes out at 94.2 Å³/cell. The calculation puts the offset from the most stable computed form at 0.000 eV/atom.

> What is the formula in the first record?

Pr6Sm12Dy

> The lowest volume belongs to which entry?
~~~

  • MongoDB instance: The running server that can host multiple databases.
  • Database: A container for collections.
  • Collection: A group of documents within a database.
  • Document: The individual pieces of data, stored in BSON (Binary JSON) format.
MongoDB Instance └── Database (e.g., blogDB) └── Collection (e.g., posts) └── Document (e.g., { title: "My first blog post" })

3. Naming Databases

  • MongoDB databases are identified by name. The name must follow certain rules:
    • Can be any string of characters.
    • Cannot be an empty string.
    • Cannot include the null character (\0).
    • Limited to 64 bytes.
    • Must not contain characters like /, \, (space), ., ".

4. Default and System Databases

  • When you start a MongoDB instance, three default databases are available:
    1. admin: This is the root database that provides administrative commands. It allows you to create and manage user accounts, configure the instance, and perform other administrative tasks.
    2. local: This database stores data specific to the current server instance, like metadata for the replication process. It is not replicated to other servers in a cluster.
    3. config: This database stores the configuration data for sharded clusters in MongoDB. It includes metadata about the shards, which collections are sharded, and their chunk distributions.

5. Creating and Switching Databases

You don’t need to explicitly create a database. MongoDB will automatically create a database when you insert a document into a collection within a new database.

  • Creating a database: Switch to a new database using the use command.

    use myNewDatabase

    This command switches to the myNewDatabase database. If it doesn’t exist, MongoDB will create it the first time a collection is created or a document is inserted.

  • Checking databases: You can view all databases in the MongoDB instance using the show dbs command.

    show dbs

    This command lists all databases along with their sizes.

6. Dropping Databases

To remove a database, you can use the dropDatabase() method, which deletes the database and all its collections.


use myNewDatabase db.dropDatabase()

This will delete the myNewDatabase and all the collections inside it.

7. Working with Collections and Documents

After creating a database, you can perform standard MongoDB operations, such as inserting, updating, querying, and deleting documents within collections. Collections are stored within databases, and documents within collections.

_These calculated crystals were left in the piece by mistake_
┌──
# InAsPt5, PBEsol geometry, DFT meta-GGA SCAN
data_InAsPt5
_cell_length_a 4.001
_cell_length_b 4.001
_cell_length_c 7.051
_cell_angle_alpha 90.00
_cell_angle_beta 90.00
_cell_angle_gamma 90.00
_symmetry_space_group_name_H-M 'P 4/m m m'
_symmetry_Int_Tables_number 123
_symmetry_space_group_name_Hall '-P 4 2'
loop_
_atom_site_label
_atom_site_type_symbol
_atom_site_fract_x
_atom_site_fract_y
_atom_site_fract_z
In1 In 0.000 0.000 0.000
As1 As 0.500 0.500 0.500
Pt1 Pt 0.000 0.500 0.286
Pt2 Pt 0.500 0.500 0.000
# * raw total energy: -58.200 eV/atom
# * formation energy from the elements: -0.408 eV/atom

***

# InAsPtSe2, PBEsol geometry, DFT meta-GGA SCAN
data_InAsPtSe2
_cell_length_a 5.041
_cell_length_b 5.041
_cell_length_c 5.069
_cell_angle_alpha 90.00
_cell_angle_beta 90.00
_cell_angle_gamma 90.00
_symmetry_space_group_name_H-M 'P 4/m m m'
_symmetry_Int_Tables_number 123
_symmetry_space_group_name_Hall '-P 4 2'
loop_
_atom_site_label
_atom_site_type_symbol
_atom_site_fract_x
_atom_site_fract_y
_atom_site_fract_z
In1 In 0.000 0.000 0.000
As1 As 0.000 0.000 0.500
Pt1 Pt 0.500 0.500 0.500
Se1 Se 0.000 0.500 0.000
# * raw total energy: -31.486 eV/atom
# * energy relative to the elements, uncorrected: 1299 meV per atom

***

# InRe3As, PBEsol geometry, DFT meta-GGA SCAN
data_InRe3As
_cell_length_a 4.786
_cell_length_b 4.786
_cell_length_c 4.786
_cell_angle_alpha 90.00
_cell_angle_beta 90.00
_cell_angle_gamma 90.00
_symmetry_space_group_name_H-M 'P m -3 m'
_symmetry_Int_Tables_number 221
_symmetry_space_group_name_Hall '-P 4 2 3'
loop_
_atom_site_label
_atom_site_type_symbol
_atom_site_fract_x
_atom_site_fract_y
_atom_site_fract_z
In1 In 0.000 0.000 0.000
Re1 Re 0.000 0.000 0.500
As1 As 0.500 0.500 0.500
# * raw total energy: -50.087 eV/atom
# * formation energy from the elements: 3.287 eV/atom

***

# InRe2As, PBEsol geometry, DFT meta-GGA SCAN
data_InRe2As
_cell_length_a 6.292
_cell_length_b 6.292
_cell_length_c 6.292
_cell_angle_alpha 90.00
_cell_angle_beta 90.00
_cell_angle_gamma 90.00
_symmetry_space_group_name_H-M 'F m -3 m'
_symmetry_Int_Tables_number 225
_symmetry_space_group_name_Hall '-F 4 2 3'
loop_
_atom_site_label
_atom_site_type_symbol
_atom_site_fract_x
_atom_site_fract_y
_atom_site_fract_z
In1 In 0.000 0.000 0.000
Re1 Re 0.250 0.250 0.250
As1 As 0.000 0.000 0.500
# * raw total energy: -48.199 eV/atom
# * formation energy from the elements: 0.744 eV/atom

***

# InReAs2, PBEsol geometry, DFT meta-GGA SCAN
data_InReAs2
_cell_length_a 4.586
_cell_length_b 4.586
_cell_length_c 3.267
_cell_angle_alpha 90.00
_cell_angle_beta 90.00
_cell_angle_gamma 90.00
_symmetry_space_group_name_H-M 'P 4/m m m'
_symmetry_Int_Tables_number 123
_symmetry_space_group_name_Hall '-P 4 2'
loop_
_atom_site_label
_atom_site_type_symbol
_atom_site_fract_x
_atom_site_fract_y
_atom_site_fract_z
In1 In 0.000 0.000 0.000
Re1 Re 0.500 0.500 0.000
As1 As 0.000 0.500 0.500
# * raw total energy: -35.416 eV/atom
# * formation energy from the elements: 0.800 eV/atom

***
└──

Example of switching to a database and inserting a document:

use blogDB db.posts.insertOne({ title: "First Post", content: "This is the content of my first post." })

This creates the blogDB database (if it doesn't already exist), a posts collection (if it doesn't already exist), and inserts a new document into it.

8. Authentication and Users in Databases

MongoDB supports authentication and authorization to control access to databases.

  • Authentication ensures that users can access the database only with proper credentials.
  • Authorization determines what actions users can perform in the database (read, write, or admin privileges).

You can create users for each database with specific roles:

use blogDB db.createUser({ user: "blogAdmin", pwd: "securepassword", roles: [{ role: "readWrite", db: "blogDB" }] })

This creates a user named blogAdmin with readWrite permissions on the blogDB database.

9. Data Isolation

Each database in MongoDB is isolated. Data in one database does not affect data in another, and you can manage databases independently. This makes MongoDB ideal for multi-tenant applications or systems where different applications need separate databases on the same server instance.

Benefits of Using Databases in MongoDB

  1. Logical Data Separation: You can store data for different applications or projects in separate databases. This keeps the data organized and isolated, making management easier.
  2. Multi-tenancy: MongoDB allows multiple databases to run on a single server, providing support for multi-tenant applications where each tenant has its own isolated database.
  3. Easy Database Creation: Databases are created automatically when you insert data into them, reducing overhead.
  4. Database-level Security: MongoDB provides database-level user access control, allowing fine-grained management of permissions.

Example Use Case of MongoDB Databases

1. Blogging Platform

A blog platform might use a blogDB database with collections like posts, comments, and users.

use blogDB
  • posts: Stores blog post documents.
  • comments: Stores comments related to the blog posts.
  • users: Stores user profile information.

Example of a blog post document:

{ "_id": ObjectId("5f76b8c2926f33b6b8a74b23"), "title": "Understanding MongoDB", "author": "Alice", "content": "MongoDB is a NoSQL database...", "tags": ["mongodb", "database", "nosql"], "comments": [ { "user": "Bob", "comment": "Great post!", "date": "2024-09-01" }, { "user": "Charlie", "comment": "Very informative.", "date": "2024-09-02" } ] }

2. E-commerce Platform

An e-commerce platform might use an ecommerceDB database with collections like products, orders, and customers.

use ecommerceDB
  • products: Stores product catalog information.
  • orders: Stores customer order details.
  • customers: Stores customer profiles.

Example of a product document:

{ "_id": ObjectId("5f76b8c2926f33b6b8a74b24"), "name": "Smartphone", "brand": "TechBrand", "price": 599.99, "specifications": { "processor": "Snapdragon 888", "storage": "128GB", "ram": "8GB" }, "in_stock": true }